[Request]
Copy only the last part of the data below, starting with the line that has "Cr2 0.7500".
[Listing]
____________
# 1
The following is a DFT calculation (PBE) of NaCrCuP after structural relaxation.

Lattice parameters (Å, degrees): 3.4924 3.4924 11.4019 90.00 90.00 90.00
Fractional coordinates of all 8 atoms:
P1 0.2500 0.2500 0.1372
Na1 0.7500 0.7500 0.2755
Cu1 0.2500 0.7500 0.5000
Cu2 0.7500 0.2500 0.5000
Cr1 0.2500 0.7500 0.0000
Na2 0.2500 0.2500 0.7245
Cr2 0.7500 0.2500 0.0000
P2 0.7500 0.7500 0.8628

Properties
energy of formation from the pure elements	-0.12	eV/atom
spin magnetization	0.00	μB/atom
N(E_F)	2.8	states/eV per cell



# 2
The following is a DFT calculation (PBE) of NaCr2CuSb after structural relaxation.

Lattice parameters (Å, degrees): 5.2751 4.9336 5.2751 90.00 90.00 90.00
Each line ends with the local moment (μB).
Fractional coordinates of all 5 atoms:
Cu1 0.0000 0.5000 0.0000  0.01
Cr1 0.5000 0.0000 0.0000  3.89
Cr2 0.0000 0.0000 0.5000  3.98
Sb1 0.0000 0.0000 0.0000  -0.08
Na1 0.5000 0.5000 0.5000  -0.02

Properties
energy relative to the elements, uncorrected	0.82	eV/atom
spin magnetization	1.80	μB/atom
N(E_F)	0.8	states/eV per cell



# 3
The following is a DFT calculation (PBE) of NaCrCu2Sb after structural relaxation.

Lattice parameters (Å, degrees): 4.8389 4.9182 4.8389 90.00 90.00 90.00
Each line ends with the local moment (μB).
Fractional coordinates of all 5 atoms:
Cu1 0.0000 0.0000 0.5000  0.16
Cr1 0.0000 0.0000 0.0000  2.70
Cu2 0.5000 0.0000 0.0000  0.11
Na1 0.5000 0.5000 0.5000  -0.01
Sb1 0.0000 0.5000 0.0000  -0.14

Properties
energy relative to the elements, uncorrected	0.56	eV/atom
spin magnetization	0.58	μB/atom
N(E_F)	2.3	states/eV per cell



# 4
The following is a DFT calculation (PBE) of Na4Cr3CuSe8 after structural relaxation.

Lattice parameters (Å, degrees): 7.5541 8.0922 7.5582 117.86 119.98 90.00
Each line ends with the local moment (μB).
Fractional coordinates of all 16 atoms:
Se1 0.2344 0.6965 0.9621  -0.14
Se2 0.2347 0.6967 0.4693  -0.14
Se3 0.7656 0.3035 0.0379  -0.14
Se4 0.7336 0.7010 0.4672  -0.10
Na1 0.5000 0.0000 0.0000  0.00
Na2 0.0000 0.0000 0.0000  0.00
Na3 0.0000 0.0000 0.5000  0.00
Cr1 0.0000 0.5000 0.5000  2.92
Na4 0.5000 0.0000 0.5000  0.00
Cu1 0.0000 0.5000 0.0000  -0.24
Se5 0.2723 0.3035 0.0379  -0.14
Se6 0.7277 0.6965 0.9621  -0.14
Cr2 0.5000 0.5000 0.0000  2.92
Cr3 0.5000 0.5000 0.5000  2.92
Se7 0.7653 0.3033 0.5307  -0.14
Se8 0.2664 0.2990 0.5328  -0.10

Properties
energy relative to the elements, uncorrected	-0.69	eV/atom
spin magnetization	0.48	μB/atom
N(E_F)	7.2	states/eV per cell



# 5
The following is a DFT calculation (PBE) of Na2CrCuSe4 after structural relaxation.

Lattice parameters (Å, degrees): 7.9683 7.9683 7.5683 118.35 118.35 94.88
Each line ends with the local moment (μB).
Fractional coordinates of all 16 atoms:
Se1 0.7688 0.2942 0.0315  -0.06
Na1 0.5000 0.5000 0.0000  0.00
Se2 0.2186 0.2814 0.0497  -0.06
Se3 0.2058 0.7312 0.4685  -0.06
Na2 0.5000 0.0000 0.0000  0.00
Se4 0.7814 0.7186 0.5497  -0.06
Se5 0.2312 0.7058 0.9685  -0.06
Cu1 0.5000 0.5000 0.5000  -0.01
Cu2 0.0000 0.0000 0.0000  -0.01
Cr1 0.0000 0.5000 0.0000  2.80
Se6 0.7942 0.2688 0.5315  -0.06
Na3 0.5000 0.0000 0.5000  0.00
Na4 0.0000 0.0000 0.5000  0.00
Cr2 0.0000 0.5000 0.5000  2.80
Se7 0.2186 0.2814 0.4503  -0.06
Se8 0.7814 0.7186 0.9503  -0.06

Properties
energy relative to the elements, uncorrected	-0.57	eV/atom
spin magnetization	0.34	μB/atom
N(E_F)	7.9	states/eV per cell



# 6
The following is a DFT calculation (PBE) of Na3Cr3CuSe8 after structural relaxation.

Lattice parameters (Å, degrees): 7.4086 7.4110 8.1606 117.06 90.00 119.99
Each line ends with the local moment (μB).
Fractional coordinates of all 15 atoms:
Se1 0.7648 0.0389 0.3035  -0.13
Se2 0.7338 0.4675 0.7012  -0.11
Na1 0.5000 0.5000 0.0000  0.00
Se3 0.7667 0.5334 0.3050  -0.13
Se4 0.7259 0.9611 0.6965  -0.13
Na2 0.0000 0.5000 0.0000  0.00
Cr1 0.5000 0.5000 0.5000  2.85
Cr2 0.5000 0.0000 0.5000  2.85
Cr3 0.0000 0.5000 0.5000  2.85
Se5 0.2333 0.4666 0.6950  -0.13
Se6 0.2741 0.0389 0.3035  -0.13
Cu1 0.0000 0.0000 0.5000  -0.12
____________
[Result]
Cr2 0.7500 0.2500 0.0000
P2 0.7500 0.7500 0.8628

Properties
energy of formation from the pure elements	-0.12	eV/atom
spin magnetization	0.00	μB/atom
N(E_F)	2.8	states/eV per cell



# 2
The following is a DFT calculation (PBE) of NaCr2CuSb after structural relaxation.

Lattice parameters (Å, degrees): 5.2751 4.9336 5.2751 90.00 90.00 90.00
Each line ends with the local moment (μB).
Fractional coordinates of all 5 atoms:
Cu1 0.0000 0.5000 0.0000  0.01
Cr1 0.5000 0.0000 0.0000  3.89
Cr2 0.0000 0.0000 0.5000  3.98
Sb1 0.0000 0.0000 0.0000  -0.08
Na1 0.5000 0.5000 0.5000  -0.02

Properties
energy relative to the elements, uncorrected	0.82	eV/atom
spin magnetization	1.80	μB/atom
N(E_F)	0.8	states/eV per cell



# 3
The following is a DFT calculation (PBE) of NaCrCu2Sb after structural relaxation.

Lattice parameters (Å, degrees): 4.8389 4.9182 4.8389 90.00 90.00 90.00
Each line ends with the local moment (μB).
Fractional coordinates of all 5 atoms:
Cu1 0.0000 0.0000 0.5000  0.16
Cr1 0.0000 0.0000 0.0000  2.70
Cu2 0.5000 0.0000 0.0000  0.11
Na1 0.5000 0.5000 0.5000  -0.01
Sb1 0.0000 0.5000 0.0000  -0.14

Properties
energy relative to the elements, uncorrected	0.56	eV/atom
spin magnetization	0.58	μB/atom
N(E_F)	2.3	states/eV per cell



# 4
The following is a DFT calculation (PBE) of Na4Cr3CuSe8 after structural relaxation.

Lattice parameters (Å, degrees): 7.5541 8.0922 7.5582 117.86 119.98 90.00
Each line ends with the local moment (μB).
Fractional coordinates of all 16 atoms:
Se1 0.2344 0.6965 0.9621  -0.14
Se2 0.2347 0.6967 0.4693  -0.14
Se3 0.7656 0.3035 0.0379  -0.14
Se4 0.7336 0.7010 0.4672  -0.10
Na1 0.5000 0.0000 0.0000  0.00
Na2 0.0000 0.0000 0.0000  0.00
Na3 0.0000 0.0000 0.5000  0.00
Cr1 0.0000 0.5000 0.5000  2.92
Na4 0.5000 0.0000 0.5000  0.00
Cu1 0.0000 0.5000 0.0000  -0.24
Se5 0.2723 0.3035 0.0379  -0.14
Se6 0.7277 0.6965 0.9621  -0.14
Cr2 0.5000 0.5000 0.0000  2.92
Cr3 0.5000 0.5000 0.5000  2.92
Se7 0.7653 0.3033 0.5307  -0.14
Se8 0.2664 0.2990 0.5328  -0.10

Properties
energy relative to the elements, uncorrected	-0.69	eV/atom
spin magnetization	0.48	μB/atom
N(E_F)	7.2	states/eV per cell



# 5
The following is a DFT calculation (PBE) of Na2CrCuSe4 after structural relaxation.

Lattice parameters (Å, degrees): 7.9683 7.9683 7.5683 118.35 118.35 94.88
Each line ends with the local moment (μB).
Fractional coordinates of all 16 atoms:
Se1 0.7688 0.2942 0.0315  -0.06
Na1 0.5000 0.5000 0.0000  0.00
Se2 0.2186 0.2814 0.0497  -0.06
Se3 0.2058 0.7312 0.4685  -0.06
Na2 0.5000 0.0000 0.0000  0.00
Se4 0.7814 0.7186 0.5497  -0.06
Se5 0.2312 0.7058 0.9685  -0.06
Cu1 0.5000 0.5000 0.5000  -0.01
Cu2 0.0000 0.0000 0.0000  -0.01
Cr1 0.0000 0.5000 0.0000  2.80
Se6 0.7942 0.2688 0.5315  -0.06
Na3 0.5000 0.0000 0.5000  0.00
Na4 0.0000 0.0000 0.5000  0.00
Cr2 0.0000 0.5000 0.5000  2.80
Se7 0.2186 0.2814 0.4503  -0.06
Se8 0.7814 0.7186 0.9503  -0.06

Properties
energy relative to the elements, uncorrected	-0.57	eV/atom
spin magnetization	0.34	μB/atom
N(E_F)	7.9	states/eV per cell



# 6
The following is a DFT calculation (PBE) of Na3Cr3CuSe8 after structural relaxation.

Lattice parameters (Å, degrees): 7.4086 7.4110 8.1606 117.06 90.00 119.99
Each line ends with the local moment (μB).
Fractional coordinates of all 15 atoms:
Se1 0.7648 0.0389 0.3035  -0.13
Se2 0.7338 0.4675 0.7012  -0.11
Na1 0.5000 0.5000 0.0000  0.00
Se3 0.7667 0.5334 0.3050  -0.13
Se4 0.7259 0.9611 0.6965  -0.13
Na2 0.0000 0.5000 0.0000  0.00
Cr1 0.5000 0.5000 0.5000  2.85
Cr2 0.5000 0.0000 0.5000  2.85
Cr3 0.0000 0.5000 0.5000  2.85
Se5 0.2333 0.4666 0.6950  -0.13
Se6 0.2741 0.0389 0.3035  -0.13
Cu1 0.0000 0.0000 0.5000  -0.12